Contents tagged with Romania

  • Moldova begins construction of pipeline connecting it to European gas supply system

    Moldovan Prime Minister Pavel Filip and Romanian Deputy Prime Minister for the Implementation of Strategic Partnerships Ana Birchall took part in the ceremony marking the beginning of the construction of the second-stage of the Jasz-Ungheni-Chisinau gas pipeline. 

    The first line of the gas pipeline was put into operation in 2014, making it possible to deliver almost a million cubic meters of gas from Romania to Ungheni and several nearby settlements. The second part of the 120-km-long pipeline …

  • US naval ship to conduct military exercise in Black Sea with Romanian frigate

    USS Fort McHenry, a large dock landing ship of the US Navy, will spend three days at the Romanian Port of Constanţa and then take part in an exercise with the frigate King Ferdinand, the website of the Romanian Navy reports.

    “Leaving the port on Thursday, January 10, USS Fort McHenry and the Frigate King Ferdinand will conduct a series of joint training activities in the territorial waters of Romania and the international waters of the Black Sea,” the report states.

    The American ship arrived …

  • Moldova counts on Romania’s support in integration with European Union

    The Moldovan government expects an improvement in the relations with the European Union, counting on the support of Romania, which will be holding EU presidency next year.

    “The role of the president of the EU Council implies impartial and professional management of the issues on the agenda – from the simplest issues to the most complex ones,” said Romanian Prime Minister Viorica Dancila.

    According to Deputy Prime Minister for European Integration of Moldova Iurie Leanca, “this is a unique …

  • Romania concerned about Russia’s military activity in the Black Sea

    Romania is concerned about the increased Russian military activity in the Black Sea. Strengthening European security will be the main topic in January, when this country, in the order of rotation, will take over the European Union presidency, said Romanian Defense Minister Mihai Fifor.

    “The Russian Federation is using the Black Sea to move forces into the eastern Mediterranean areas,” stated Mihai Fifor at the international conference hosted by the Aspen Institute.

    “The situation has changed …

  • Ukraine and Romania conduct their first joint naval exercises

(Materials data, as found in the file)
┌──
# DySe | Materials Project | r2SCAN | optimized geometry
data_DySe
_space_group_name_H-M_alt 'P 1'
_space_group_IT_number 1
_space_group_name_Hall 'P 1'
_cell_length_a 4.058
_cell_length_b 4.058
_cell_length_c 4.058
_cell_angle_alpha 60.00
_cell_angle_beta 60.00
_cell_angle_gamma 60.00
loop_
_atom_site_label
_atom_site_type_symbol
_atom_site_fract_x
_atom_site_fract_y
_atom_site_fract_z
Dy1 Dy 0.000 0.000 0.000
Se1 Se 0.500 0.500 0.500
# Energy relative to the elements   -1998 meV per atom
# Space-group type   Fm-3m


# NdB3O6 | Materials Project | r2SCAN | optimized geometry
data_NdB3O6
_space_group_name_H-M_alt 'P 1'
_space_group_IT_number 1
_space_group_name_Hall 'P 1'
_cell_length_a 6.353
_cell_length_b 6.353
_cell_length_c 6.350
_cell_angle_alpha 117.21
_cell_angle_beta 117.21
_cell_angle_gamma 79.27
loop_
_atom_site_label
_atom_site_type_symbol
_atom_site_fract_x
_atom_site_fract_y
_atom_site_fract_z
Nd1 Nd 0.198 0.802 0.750
Nd2 Nd 0.802 0.198 0.250
B1 B 0.209 0.342 0.916
B2 B 0.221 0.779 0.250
B3 B 0.342 0.209 0.416
B4 B 0.658 0.791 0.584
B5 B 0.779 0.221 0.750
B6 B 0.791 0.658 0.084
O1 O 0.006 0.783 0.288
O2 O 0.210 0.586 0.007
O3 O 0.211 0.389 0.498
O4 O 0.217 0.994 0.212
O5 O 0.389 0.211 0.998
O6 O 0.414 0.790 0.493
O7 O 0.586 0.210 0.507
O8 O 0.611 0.789 0.002
O9 O 0.783 0.006 0.788
O10 O 0.789 0.611 0.502
O11 O 0.790 0.414 0.993
O12 O 0.994 0.217 0.712
# Energy relative to the elements   -2978 meV per atom
# Space-group type   C2/c
└──

    Ukraine and Romania have conducted the first joint naval exercises on the Danube River between Izmail and the Romanian port of Brăila, reported the press-service of the State Border Service of Ukraine.

    For three days, marines and marine border guards of both countries practiced joint actions on ensuring security for civilian traffic, rescue and inspection operations, and maneuvers in river navigation.

    "Two Navy ships and a Romanian border police boat, a training boat and two small armored …

  • British fighters intercept six Russian bombers over the Black Sea

    British soldiers stationed in Romania intercepted six Russian bombers over the Black Sea, reported the Romanian agency Agerpres.

    On August 13, Eurofighter Typhoon fighters took off from the Romanian Mihail Kogalniceanu base due to the presence of six Russian Su-24 bombers flying over the Black Sea near the NATO border towards the Crimea.

    "Before the take-off to intercept them, we were warned about the intense Russian air activity, which was observed throughout the night," - said one of the …

  • Criminal investigation initiated against former leaders of Romania

    Romanian President Klaus Iohannis agreed to initiate a criminal investigation against the former leaders of the country, a message on the President’s website reveals.

    Those under investigation are former President Ion Iliescu, former Prime Minister Petre Roman and former Deputy Prime Minister Gelu Voican Voiculescu.

    The website message states: “On Friday April 13, Romanian President Klaus Iohannis referred an application to the Minister of Justice to start criminal prosecution against Ion …

  • Romania joins countries that don't recognize Russian presidential elections in Crimea

    Romania does not recognize the annexation of the Crimea and Russian presidential elections on the peninsula, reports, citing the press service of the Romanian embassy.

    "The Ministry of Foreign Affairs of Romania reminds that it [Romania] does not recognize the illegal annexation of the Autonomous Republic of Crimea and the city of Sevastopol by the Russian Federation, and therefore does not recognize the elections in this territory, and shares the position of the European Union and its …

  • 11 villages in Moldova want to join Romania

    The authorities of eleven villages in Moldova adopted a symbolic "declaration of union with Romania," Newsmaker reports. They became participants in the campaign for the unification of Moldova and Romania, organized by the Unionist platform Acţiunea 2012.

    The activists expect that by the 100th anniversary of the reunification of Romania, which is likely to be in 2018, this declaration will be adopted in a hundred Moldovan settlements. For now, 11 Moldovan villages have documented their desire …

  • President Dodon intends to punish officials that favor the unification of Moldova and Romania

    The President of Moldova, Igor Dodon is convening an emergency meeting of the Supreme Security Council where he wants to punish the local public administration counselors that signed the symbolic "declarations on Moldova's Union with Romania," Ukrinform reports.

    "The actions of local counselors take place against the background of the unprecedented campaign aimed at undermining the statehood, sovereignty, independence and territorial integrity of the Republic of Moldova. These campaigns are …